The following is a DFT calculation (PBE-GGA) of PrErTe2S after structural relaxation.

Output
Raw formation energy in eV per atom: -1.474
V in Å³/cell: 311.6
E_tot in eV per atom: -5.424
DOS at the Fermi energy in states/eV/atom: 0.2838

Unit cell a=4.457 b=4.457 c=15.684 alpha=90.00 beta=90.00 gamma=90.00
Space group P4/nmm (No. 129, origin choice 2)
Unique sites:
Pr (0.250, 0.250, 0.107)
Er (0.250, 0.250, 0.610)
Te (0.250, 0.250, 0.408)
Te (0.250, 0.250, 0.793)
S (0.250, 0.750, 0.000)

~~~~~

Record 1
Ir3AuS | PBE-GGA | relaxed

POSCAR file:
```
Ir3AuS
1.0
-2.1562 -3.3442 -1.8810
1.3948 -2.6932 3.1894
-3.5744 0.9664 2.3792
Ir S Au
3 1 1
Cartesian
-1.7872 0.4832 1.1896
-1.0781 -1.6721 -0.9405
0.6974 -1.3466 1.5947
0.0000 0.0000 0.0000
-2.1679 -2.5355 1.8438
```

The total DFT energy (no corrections) comes out at -5.987 eV/atom. As for the crystal system: cubic.

***

Record 2
IrAuS2 | PBE-GGA | relaxed

POSCAR file:
```
IrAuS2
1.0
-1.0549 -3.0728 1.5797
-1.5488 -2.3495 -5.6045
6.4890 -2.1080 0.2338
S Ir Au
4 2 2
Cartesian
-0.3867 -2.5194 0.5391
1.2433 -4.1704 -1.5839
1.0287 -3.7145 -5.2245
-0.6014 -2.0634 -3.1015
0.9724 -1.7600 -1.3372
-0.3305 -4.4739 -3.3482
3.0381 -5.7072 -1.4359
3.8124 -4.5324 1.3664
```

The total DFT energy (no corrections) comes out at -5.343 eV/atom. As for the crystal system: monoclinic.

***

Record 3
IrAuS2 | PBE-GGA | relaxed

POSCAR file:
```
IrAuS2
1.0
-2.6893 4.6311 3.5801
-6.3318 -4.3449 0.8643
2.4888 -2.5888 5.2184
S Ir Au
8 4 4
Cartesian
-1.2118 -2.0601 4.2934
-2.1938 3.3174 3.6747
-5.9870 0.4509 3.9717
-5.7887 -2.6513 2.3381
-3.6880 -0.8852 6.1472
-3.4525 -0.7846 2.2400
-1.4101 1.0421 5.9269
-4.9467 -4.9872 4.7126
-2.5534 -0.1834 4.2904
0.0092 -1.6632 2.3341
-3.1754 -2.9549 7.0570
-5.7380 -1.4751 9.0132
-4.2738 2.0952 3.8045
-3.0324 -3.5927 4.2355
-5.7164 -2.1963 6.2084
-1.5897 0.6988 1.8316
```

The total DFT energy (no corrections) comes out at -5.058 eV/atom. As for the crystal system: orthorhombic.

~~~~~

## BaTeMo2O8 (PBE with a Hubbard U)

Data for a relaxed BaTeMo2O8 crystal.

**Symmetry**: R32
**E_tot**: -6.39 eV/atom

Cell: 5.3015 5.3015 9.2266 Å, 73.30 73.30 60.00°
Closest atoms and distances in Å follow each position.
Element x y z (fractional)
O 0.6782 0.6782 0.9654  1 Mo 1.80
O 0.0962 0.7609 0.7012  1 Mo 1.81
Mo 0.2529 0.2529 0.2412  4 O 1.80-1.81
O 0.3218 0.3218 0.0346  1 Mo 1.80
Te 0.5000 0.5000 0.5000  6 O 2.48
O 0.7609 0.4418 0.7012  1 Mo 1.81
Ba 0.0000 0.0000 0.0000  12 O 3.08-3.17
O 0.9038 0.5582 0.2988  1 Mo 1.81
O 0.2391 0.9038 0.2988  1 Mo 1.81
Mo 0.7471 0.7471 0.7588  4 O 1.80-1.81
O 0.5582 0.2391 0.2988  1 Mo 1.81
O 0.4418 0.0962 0.7012  1 Mo 1.81

~~~~~

P.
{"formula": "Zr2VTc", "functional": "PBE-GGA", "state": "optimized geometry", "space_group": "P4/mmm (123)", "crystal_system": "tetragonal", "magnetic_moment_mub_per_cell": 2.301, "lattice": [[4.693, 0.000, 0.000], [0.000, 4.693, 0.000], [0.000, 0.000, 3.322]], "species": ["Zr", "Zr", "V", "Tc"], "frac_coords": [[0.000, 0.500, 0.000], [0.500, 0.000, 0.000], [0.000, 0.000, 0.500], [0.500, 0.500, 0.500]]}


Q.
{"formula": "Zr2VTc", "functional": "PBE-GGA", "state": "optimized geometry", "space_group": "I-42d (122)", "crystal_system": "tetragonal", "magnetic_moment_mub_per_cell": 5.624, "lattice": [[7.315, 0.000, 0.000], [0.000, 7.315, 0.000], [0.000, 0.000, 5.729]], "species": ["Zr", "Zr", "Zr", "Zr", "Zr", "Zr", "Zr", "Zr", "V", "V", "V", "V", "Tc", "Tc", "Tc", "Tc"], "frac_coords": [[0.238, 0.250, 0.125], [0.250, 0.738, 0.375], [0.250, 0.762, 0.875], [0.262, 0.250, 0.625], [0.738, 0.750, 0.625], [0.750, 0.238, 0.875], [0.750, 0.262, 0.375], [0.762, 0.750, 0.125], [0.000, 0.000, 0.500], [0.000, 0.500, 0.750], [0.500, 0.000, 0.250], [0.500, 0.500, 0.000], [0.000, 0.000, 0.000], [0.000, 0.500, 0.250], [0.500, 0.000, 0.750], [0.500, 0.500, 0.500]]}

Could you search the calculation results above for the word "is" and write out each line that has it?

The following is a DFT calculation (PBE-GGA) of PrErTe2S after structural relaxation.